Brief.
The reader should reproduce all of the material below with every line break kept.
Entries.
First-principles (PBE-GGA) data for a geometry-optimized Mg2CdAg8 structure, as listed in Alexandria.

The structure belongs to space group C2/m (No. 12); the cell edges are 7.753, 13.081 and 5.107 Å and the angles 90.00°, 124.85° and 90.00°. Symmetry generates all atoms from Mg at (0.000, 0.192, 0.000), Cd at (0.000, 0.500, 0.500), Ag at (0.000, 0.284, 0.500), Ag at (0.085, 0.000, 0.317) and Ag at (0.213, 0.383, 0.124).

Its energy above the lowest structure with this stoichiometry is 66.7 meV/atom. The volume is 425.04 Å³/cell. For the calculated formation energy, the calculation gives 0.00 eV/atom. The value obtained for the total energy is -2.45 eV per atom.

First-principles (PBE-GGA) data for a geometry-optimized PmPr2Eu structure, as listed in Alexandria.

The structure belongs to space group Fm-3m (No. 225); the cell edges are 8.377, 8.377 and 8.377 Å and the angles 90.00°, 90.00° and 90.00°. Symmetry generates all atoms from Pm at (0.000, 0.000, 0.000), Pr at (0.250, 0.250, 0.250) and Eu at (0.000, 0.000, 0.500).

Its energy above the lowest structure with this stoichiometry is 72.3 meV/atom. The volume is 587.88 Å³/cell. For the calculated formation energy, the calculation gives 0.13 eV/atom. The value obtained for the total energy is -6.02 eV per atom.

First-principles (PBE-GGA) data for a geometry-optimized InSnTeC2 structure, as listed in Alexandria.

The structure belongs to space group P4/mmm (No. 123); the cell edges are 4.381, 4.381 and 6.302 Å and the angles 90.00°, 90.00° and 90.00°. Symmetry generates all atoms from In at (0.000, 0.000, 0.000), Sn at (0.000, 0.000, 0.500), Te at (0.500, 0.500, 0.500) and C at (0.000, 0.500, 0.000).

The volume is 120.95 Å³/cell. The value obtained for the total energy is -3.56 eV per atom. As for the formation energy from raw total energies: 2105 meV per atom.

First-principles (PBE-GGA) data for a geometry-optimized Tb19Dy6Y4 structure, as listed in Alexandria.

The structure belongs to space group I23 (No. 197); the cell edges are 12.474, 12.474 and 12.474 Å and the angles 90.00°, 90.00° and 90.00°. Symmetry generates all atoms from Tb at (0.000, 0.000, 0.000), Tb at (0.000, 0.000, 0.261), Tb at (0.063, 0.279, 0.739), Dy at (0.000, 0.127, 0.500) and Y at (0.179, 0.179, 0.179).

The volume is 1941.03 Å³/cell. For the calculated formation energy, the calculation gives 0.39 eV/atom. The value obtained for the total energy is -4.49 eV per atom.

First-principles (PBE-GGA) data for a geometry-optimized Hf6Al3Tc structure, as listed in Alexandria.

The structure belongs to space group P2_1/m (No. 11); the cell edges are 8.098, 4.868 and 10.370 Å and the angles 90.00°, 109.59° and 90.00°. Symmetry generates all atoms from Hf at (0.041, 0.250, 0.417), Hf at (0.164, 0.750, 0.178), Hf at (0.263, 0.250, 0.006), Hf at (0.351, 0.750, 0.803), Hf at (0.353, 0.250, 0.321), Hf at (0.428, 0.250, 0.625), Al at (0.037, 0.750, 0.879), Al at (0.126, 0.250, 0.715), Al at (0.271, 0.750, 0.476) and Tc at (0.454, 0.750, 0.094).

The volume is 385.18 Å³/cell. For the calculated formation energy, the calculation gives -0.32 eV/atom. The value obtained for the total energy is -8.45 eV per atom.

First-principles (PBE-GGA) data for a geometry-optimized BaRuCl2 structure, as listed in Alexandria.

The structure belongs to space group Pm (No. 6); the cell edges are 4.802, 4.595 and 4.821 Å and the angles 90.00°, 101.57° and 90.00°. Symmetry generates all atoms from Ba at (0.000, 0.000, 0.000), Ru at (0.668, 0.500, 0.498), Cl at (0.190, 0.500, 0.606) and Cl at (0.590, 0.000, 0.401).

Its energy above the lowest structure with this stoichiometry is 29.2 meV/atom. The volume is 104.22 Å³/cell. The value obtained for the total energy is -4.47 eV per atom. As for the formation energy from raw total energies: -744 meV per atom.

First-principles (PBE-GGA) data for a geometry-optimized CeCr2CN structure, as listed in Alexandria.
Done.
First-principles (PBE-GGA) data for a geometry-optimized Mg2CdAg8 structure, as listed in Alexandria.

The structure belongs to space group C2/m (No. 12); the cell edges are 7.753, 13.081 and 5.107 Å and the angles 90.00°, 124.85° and 90.00°. Symmetry generates all atoms from Mg at (0.000, 0.192, 0.000), Cd at (0.000, 0.500, 0.500), Ag at (0.000, 0.284, 0.500), Ag at (0.085, 0.000, 0.317) and Ag at (0.213, 0.383, 0.124).

Its energy above the lowest structure with this stoichiometry is 66.7 meV/atom. The volume is 425.04 Å³/cell. For the calculated formation energy, the calculation gives 0.00 eV/atom. The value obtained for the total energy is -2.45 eV per atom.

First-principles (PBE-GGA) data for a geometry-optimized PmPr2Eu structure, as listed in Alexandria.

The structure belongs to space group Fm-3m (No. 225); the cell edges are 8.377, 8.377 and 8.377 Å and the angles 90.00°, 90.00° and 90.00°. Symmetry generates all atoms from Pm at (0.000, 0.000, 0.000), Pr at (0.250, 0.250, 0.250) and Eu at (0.000, 0.000, 0.500).

Its energy above the lowest structure with this stoichiometry is 72.3 meV/atom. The volume is 587.88 Å³/cell. For the calculated formation energy, the calculation gives 0.13 eV/atom. The value obtained for the total energy is -6.02 eV per atom.

First-principles (PBE-GGA) data for a geometry-optimized InSnTeC2 structure, as listed in Alexandria.

The structure belongs to space group P4/mmm (No. 123); the cell edges are 4.381, 4.381 and 6.302 Å and the angles 90.00°, 90.00° and 90.00°. Symmetry generates all atoms from In at (0.000, 0.000, 0.000), Sn at (0.000, 0.000, 0.500), Te at (0.500, 0.500, 0.500) and C at (0.000, 0.500, 0.000).

The volume is 120.95 Å³/cell. The value obtained for the total energy is -3.56 eV per atom. As for the formation energy from raw total energies: 2105 meV per atom.

First-principles (PBE-GGA) data for a geometry-optimized Tb19Dy6Y4 structure, as listed in Alexandria.

The structure belongs to space group I23 (No. 197); the cell edges are 12.474, 12.474 and 12.474 Å and the angles 90.00°, 90.00° and 90.00°. Symmetry generates all atoms from Tb at (0.000, 0.000, 0.000), Tb at (0.000, 0.000, 0.261), Tb at (0.063, 0.279, 0.739), Dy at (0.000, 0.127, 0.500) and Y at (0.179, 0.179, 0.179).

The volume is 1941.03 Å³/cell. For the calculated formation energy, the calculation gives 0.39 eV/atom. The value obtained for the total energy is -4.49 eV per atom.

First-principles (PBE-GGA) data for a geometry-optimized Hf6Al3Tc structure, as listed in Alexandria.

The structure belongs to space group P2_1/m (No. 11); the cell edges are 8.098, 4.868 and 10.370 Å and the angles 90.00°, 109.59° and 90.00°. Symmetry generates all atoms from Hf at (0.041, 0.250, 0.417), Hf at (0.164, 0.750, 0.178), Hf at (0.263, 0.250, 0.006), Hf at (0.351, 0.750, 0.803), Hf at (0.353, 0.250, 0.321), Hf at (0.428, 0.250, 0.625), Al at (0.037, 0.750, 0.879), Al at (0.126, 0.250, 0.715), Al at (0.271, 0.750, 0.476) and Tc at (0.454, 0.750, 0.094).

The volume is 385.18 Å³/cell. For the calculated formation energy, the calculation gives -0.32 eV/atom. The value obtained for the total energy is -8.45 eV per atom.

First-principles (PBE-GGA) data for a geometry-optimized BaRuCl2 structure, as listed in Alexandria.

The structure belongs to space group Pm (No. 6); the cell edges are 4.802, 4.595 and 4.821 Å and the angles 90.00°, 101.57° and 90.00°. Symmetry generates all atoms from Ba at (0.000, 0.000, 0.000), Ru at (0.668, 0.500, 0.498), Cl at (0.190, 0.500, 0.606) and Cl at (0.590, 0.000, 0.401).

Its energy above the lowest structure with this stoichiometry is 29.2 meV/atom. The volume is 104.22 Å³/cell. The value obtained for the total energy is -4.47 eV per atom. As for the formation energy from raw total energies: -744 meV per atom.

First-principles (PBE-GGA) data for a geometry-optimized CeCr2CN structure, as listed in Alexandria.